It remains to duplicate only the lines below with the word "First-principles" in them.
~~~
First-principles (PBE) data for crystalline Al2ReW at its relaxed geometry, as listed in Alexandria.

Unit cell a=4.378 b=4.378 c=4.378 alpha=60.00 beta=60.00 gamma=60.00
Sites, in units of the cell vectors:
Al: 0.250 0.250 0.250
Al: 0.750 0.750 0.750
Re: 0.000 0.000 0.000
W: 0.500 0.500 0.500

Values from the calculation:
DOS at the Fermi energy	4.6	states/eV per cell
density	11.86	Mg/m³
formation energy	0.16	eV/atom
total DFT energy (no corrections)	-8.06	eV per atom
SG	Fm-3m (225)

~~~~~

Record 1
First-principles (PBE) data for KReO6 after structural relaxation, as listed in Alexandria.

## Properties
VASP energy   -192.48 eV for the cell shown
Uncorrected formation energy   -4.8 eV per formula unit
Total moment   4.00 μB/f.u.

Cell lengths 9.286, 9.286, 9.286 Å; angles 90.00, 90.00, 90.00 degrees
Space group Fm-3m (No. 225)
Asymmetric unit:
1 K 0.000 0.000 0.000 (multiplicity 4)
2 Re 0.000 0.000 0.500 (multiplicity 4)
3 O 0.000 0.000 0.298 (multiplicity 24)

Record 2
First-principles (PBE) data for CsHoSnBr6 after structural relaxation, as listed in Alexandria.

## Properties
VASP energy   -33.22 eV for the cell shown
Uncorrected formation energy   -13.8 eV per formula unit
Total moment   0.00 μB/f.u.

Cell lengths 7.6194, 7.6194, 7.9629 Å; angles 90.00, 90.00, 120.00 degrees
Space group P312 (No. 149)
Asymmetric unit:
1 Cs 0.0000 0.0000 0.0000 (multiplicity 1)
2 Ho 0.6667 0.3333 0.5000 (multiplicity 1)
3 Sn 0.3333 0.6667 0.5000 (multiplicity 1)
4 Br 0.3846 0.0197 0.7060 (multiplicity 6)

Record 3
First-principles (PBE) data for BaIn2As2 after structural relaxation, as listed in Alexandria.

## Properties
VASP energy   -38.41 eV for the cell shown
ΔE_f   -0.501 eV per atom
Total moment   0.00 μB/f.u.

Cell lengths 5.277, 5.277, 10.131 Å; angles 90.00, 90.00, 90.00 degrees
Space group I4/mmm (No. 139)
Asymmetric unit:
1 Ba 0.000 0.000 0.000 (multiplicity 2)
2 In 0.000 0.000 0.357 (multiplicity 4)
3 As 0.000 0.500 0.250 (multiplicity 4)

Record 4
First-principles (PBE) data for KLiPb2 after structural relaxation, as listed in Alexandria.

## Properties
VASP energy   -22.03 eV for the cell shown
ΔE_f   -0.147 eV per atom
Total moment   0.00 μB/f.u.

Cell lengths 9.726, 3.587, 7.608 Å; angles 90.00, 97.97, 90.00 degrees
Space group C2/m (No. 12)
Asymmetric unit:
1 K 0.000 0.000 0.000 (multiplicity 2)
2 Li 0.000 0.500 0.500 (multiplicity 2)
3 Pb 0.240 0.000 0.669 (multiplicity 4)

~~~~~

A relaxed structure of YZn2Mo, computed with GGA-PBE.

Computed properties:
E_form: 0.119 eV per atom
distance to the lowest polymorph of the same formula: 0.100 eV per atom
uncorrected energy: -4.84 eV/atom

Unit cell a=6.642 b=6.642 c=6.642 alpha=90.00 beta=90.00 gamma=90.00
Space group Fm-3m (No. 225)
Unique sites:
Y (0.000, 0.000, 0.000) (multiplicity 4)
Zn (0.250, 0.250, 0.250) (multiplicity 8)
Mo (0.000, 0.000, 0.500) (multiplicity 4)
~~~
First-principles (PBE) data for crystalline Al2ReW at its relaxed geometry, as listed in Alexandria.
First-principles (PBE) data for KReO6 after structural relaxation, as listed in Alexandria.
First-principles (PBE) data for CsHoSnBr6 after structural relaxation, as listed in Alexandria.
First-principles (PBE) data for BaIn2As2 after structural relaxation, as listed in Alexandria.
First-principles (PBE) data for KLiPb2 after structural relaxation, as listed in Alexandria.